The reader should work out how many lines below have the word "compared" in them; a number is enough.

'''
C24H72N4O12 | ωB97M-V/def2-TZVPD

Last column: Löwdin charge in e.
CARTESIAN COORDINATES (ANGSTROEM)
N1 -1.706 2.233 1.004  0.144
C1 -0.805 3.000 0.443  -0.667
N2 -0.145 3.783 1.225  0.169
O1 -0.794 3.224 -0.873  -0.079
H1 -2.423 1.709 0.457  0.072
H2 -1.906 2.330 2.019  0.141
H3 0.353 4.608 0.755  0.167
H4 0.082 3.707 2.185  0.084
N3 0.990 -1.728 -2.555  0.167
C2 1.311 -3.010 -2.584  -0.667
N4 2.558 -3.164 -2.816  0.163
O2 0.385 -3.969 -2.479  -0.088
H5 0.001 -1.482 -2.409  0.080
H6 1.716 -0.985 -2.535  0.072
H7 3.034 -4.066 -2.933  0.136
H8 3.048 -2.393 -3.296  0.118
C3 1.283 -4.392 0.940  -0.018
C4 -0.039 -3.646 1.188  -0.572
C5 -1.334 -4.474 1.145  -0.030
O3 -0.032 -2.835 2.199  0.001
H9 2.073 -3.639 0.819  0.051
H10 1.318 -5.116 0.150  0.067
H11 1.561 -4.971 1.832  0.082
H12 -0.083 -3.039 0.310  0.096
H13 -1.346 -5.320 1.920  0.120
H14 -1.559 -4.892 0.198  0.056
H15 -2.160 -3.798 1.240  0.047
H16 -0.395 -1.987 1.910  0.061
C6 1.419 1.456 -3.441  -0.026
C7 2.794 1.226 -2.762  -0.605
C8 2.872 1.726 -1.355  -0.033
O4 3.070 0.005 -2.855  -0.008
H17 1.302 0.925 -4.376  0.077
H18 1.260 2.529 -3.608  0.096
H19 0.525 1.176 -2.827  0.057
H20 3.531 1.869 -3.338  0.161
H21 3.847 1.603 -0.896  0.062
H22 2.164 1.256 -0.605  0.085
H23 2.643 2.794 -1.290  0.090
H24 3.968 -0.009 -2.584  0.122
C9 3.005 2.767 1.983  -0.016
C10 4.442 2.796 1.355  -0.644
C11 4.694 4.047 0.561  -0.038
O5 5.304 2.728 2.259  0.016
H25 2.695 3.828 1.974  0.079
H26 3.158 2.449 2.970  0.062
H27 2.387 2.243 1.288  0.035
H28 4.500 1.793 0.892  0.117
H29 4.628 4.952 1.223  0.110
H30 3.968 4.141 -0.203  0.043
H31 5.644 3.952 0.054  0.084
H32 5.101 3.369 2.944  0.120
C12 -4.607 1.096 0.889  -0.022
C13 -4.135 0.175 -0.193  -0.654
C14 -5.141 -0.061 -1.297  0.001
O6 -3.146 0.707 -0.719  -0.014
H33 -5.635 0.873 1.025  0.075
H34 -4.661 2.129 0.502  0.104
H35 -3.994 1.270 1.815  0.093
H36 -3.874 -0.802 0.213  0.123
H37 -5.831 -0.787 -0.883  0.095
H38 -4.717 -0.318 -2.259  0.087
H39 -5.599 0.838 -1.313  0.046
H40 -2.750 -0.014 -1.140  0.034
C15 -2.741 2.633 -5.665  0.003
C16 -1.958 1.337 -5.400  -0.653
C17 -1.800 1.010 -3.962  -0.072
O7 -2.242 0.278 -6.003  0.022
H41 -2.408 3.431 -5.063  0.062
H42 -3.759 2.426 -5.309  0.088
H43 -2.766 2.839 -6.743  0.086
H44 -0.893 1.366 -5.659  0.131
H45 -1.636 1.928 -3.379  0.100
H46 -1.110 0.266 -3.691  0.034
H47 -2.702 0.537 -3.536  0.081
H48 -1.633 -0.395 -5.624  0.137
C18 0.442 -0.400 5.600  -0.007
C19 1.220 -0.093 4.323  -0.630
C20 0.401 0.807 3.345  -0.022
O8 2.264 0.480 4.543  0.032
H49 0.693 0.231 6.441  0.078
H50 0.676 -1.459 5.893  0.106
H51 -0.570 -0.219 5.419  0.037
H52 1.510 -0.993 3.837  0.113
H53 -0.643 0.556 3.221  0.048
H54 0.844 0.967 2.385  0.024
H55 0.432 1.849 3.555  0.063
H56 2.962 -0.069 4.909  0.144
C21 -0.146 -0.184 -0.031  -0.093
O9 -1.115 -0.498 1.032  -0.164
H57 0.532 -0.997 -0.133  0.047
H58 0.407 0.651 0.348  0.043
H59 -0.565 0.052 -0.981  0.056
H60 -1.552 0.379 1.241  0.052
C22 -2.572 -2.564 -1.196  -0.158
O10 -2.122 -1.520 -1.953  -0.117
H61 -2.120 -3.540 -1.534  0.106
H62 -3.634 -2.749 -1.281  0.092
H63 -2.449 -2.344 -0.169  0.048
H64 -2.429 -1.635 -2.837  0.092
C23 2.993 -1.013 1.342  -0.174
O11 3.321 -1.942 2.324  -0.133
H65 3.951 -0.546 0.977  0.094
H66 2.242 -0.345 1.795  0.061
H67 2.487 -1.509 0.450  0.076
H68 4.047 -2.542 1.983  0.120
C24 -2.663 -1.788 3.673  -0.166
O12 -2.505 -3.147 4.036  -0.125
H69 -3.266 -1.774 2.729  0.087
H70 -1.785 -1.145 3.630  0.043
H71 -3.336 -1.379 4.388  0.067
H72 -2.127 -3.651 3.269  0.051

Computed properties:
SMILES string: NC(N)=O.NC(N)=O.CC(C)O.CC(C)O.CC(C)O.CC(C)O.CC(C)O.CC(C)O.CO.CO.CO.CO
Spin multiplicity: 1
Total energy, eV: -56576.4829
LUMO energy, eV: 0.1
F_max, Eh/bohr: 0.268
Gap between HOMO and LUMO, eV: 9.32
Relative energy (zero: lowest compared OMol25 entry of this formula, charge and spin), kcal/mol: 218.2

C24H72N6O9 | ωB97M-V/def2-TZVPD

Last column: Löwdin charge in e.
CARTESIAN COORDINATES (ANGSTROEM)
C1 -6.964 4.876 8.173  -0.192
'''

1